The Moro City Council met for a Council Meeting, Tuesday, October 1, 2013 7:00 PM at Moro City Hall.The following were present Mayor Andy Anderson; Councilors David Lane, Bert Perisho, Jim Payne; Rene’ Moore-City Administrator (CA). Visitors Eileen Moreau, Laura Perisho, Seth von Borstel, Carey Hughes, Wm. P. Thurston.

CONSENT AGENDA-MINUTES-BILLS-FINANCIAL REPORT - There was a motion (Lane/Payne) to approve the September 3rd, 2013 Council Meeting minutes. Motion Carried.

There was a motion (Perisho/Lane) to approve September’s bills totaling $13,294.00, check numbers 10594-10617. Motion Carried.

### Records of crystals, kept here for reference
+++
(1)
First-principles (GGA-PBE) data for a geometry-optimized KRbSc3 structure, as listed in Alexandria via LeMat-Bulk.

abc: 5.6719 5.6719 5.6719
angles: 90.00 90.00 90.00
Element x y z (fractional)
K: 0.0000 0.0000 0.0000
Rb: 0.5000 0.5000 0.5000
Sc: 0.5000 0.0000 0.0000
Sc: 0.0000 0.0000 0.5000
Sc: 0.0000 0.5000 0.0000

## Properties
Density   2.36 g cm⁻³
SG   Pm-3m (221)
DFT total energy   -13.771 eV/f.u.
Size of the total moment   0.00 μB/cell
Distance to the lowest polymorph of the same formula   0.00 eV/f.u.

---

(2)
First-principles (GGA-PBE) data for a geometry-optimized KRb3Sc structure, as listed in Alexandria via LeMat-Bulk.

abc: 7.4799 7.4799 7.4799
angles: 90.00 90.00 90.00
Each line ends with the local moment (μB).
Element x y z (fractional)
Rb: 0.5000 0.0000 0.0000  0.00
Rb: 0.0000 0.5000 0.0000  0.00
Rb: 0.0000 0.0000 0.5000  0.00
K: 0.0000 0.0000 0.0000  0.00
Sc: 0.5000 0.5000 0.5000  0.93

## Properties
Density   1.35 g cm⁻³
SG   Pm-3m (221)
DFT total energy   -6.078 eV/f.u.
Size of the total moment   1.57 μB/cell
Distance to the lowest polymorph of the same formula   0.90 eV/f.u.

---

(3)
First-principles (GGA-PBE) data for a geometry-optimized KRbSc2 structure, as listed in Alexandria via LeMat-Bulk.

abc: 10.3171 10.3171 7.9946
angles: 49.82 49.82 90.00
Each line ends with the local moment (μB).
Element x y z (fractional)
Sc: 0.6215 0.1250 0.2500  0.85
Sc: 0.8750 0.8715 0.7500  0.85
Sc: 0.1285 0.6250 0.2500  0.85
Sc: 0.3750 0.3785 0.7500  0.85
K: 0.2500 0.7500 0.5000  0.02
K: 0.5000 0.5000 0.0000  0.02
Rb: 0.0000 0.0000 0.0000  0.03
Rb: 0.7500 0.2500 0.5000  0.03

## Properties
Density   2.05 g cm⁻³
SG   I-42d (122)
DFT total energy   -10.503 eV/f.u.
Size of the total moment   6.75 μB/cell
Distance to the lowest polymorph of the same formula   1.25 eV/f.u.

---

(4)
First-principles (GGA-PBE) data for a geometry-optimized KRb2Sc structure, as listed in Alexandria via LeMat-Bulk.

abc: 7.0004 7.0004 7.0004
angles: 60.00 60.00 60.00
Each line ends with the local moment (μB).
Element x y z (fractional)
Rb: 0.2500 0.2500 0.2500  0.02
Rb: 0.7500 0.7500 0.7500  0.02
K: 0.0000 0.0000 0.0000  0.01
Sc: 0.5000 0.5000 0.5000  0.95

## Properties
Density   1.75 g cm⁻³
SG   Fm-3m (225)
DFT total energy   -6.818 eV/f.u.
Size of the total moment   2.04 μB/cell
Distance to the lowest polymorph of the same formula   0.00 eV/f.u.

---

(5)
First-principles (GGA-PBE) data for a geometry-optimized KRbSc2 structure, as listed in Alexandria via LeMat-Bulk.

abc: 13.9985 13.9985 13.9985
angles: 14.26 14.26 14.26
Element x y z (fractional)
Rb: 0.0000 0.0000 0.0000
K: 0.5000 0.5000 0.5000
Sc: 0.9157 0.9157 0.9157
Sc: 0.0843 0.0843 0.0843

## Properties
Density   2.46 g cm⁻³
SG   R-3m (166)
DFT total energy   -11.755 eV/f.u.
Size of the total moment   0.05 μB/cell
Distance to the lowest polymorph of the same formula   0.00 eV/f.u.

---

(6)
+++

PAST DUE WATER/SEWER ACCOUNTS – There were 8 disconnect notices delivered. All paid a portion due.


WASTEWATER IMPROVEMENT PROJECT – The Mayor reported that the City continues to move forward with the bio-solids lease agreements trying to find farmers willing to have bio-solids applied to farmland. The City had received a signed agreement from a property owner, but the operator doesn’t want to work with bio-solids; so the City has elected to pull out of that lease agreement. The City is still looking at two more potential farmers and a couple more names were thrown out to check as well.

Sludge testing has to be done on the current ponds to determine how much and at what rate the bio-solids will be applied. It was suggested our DPW do this task, but DEQ has frowned on that idea. The office contacted Tim Tice, OAWU, and he is willing to come and do this for the City. Cost to be determined afterwards.

Kennedy/Jenks has provided the City with 60% completed plans and 90% completed plans are under review. The original plan was to go to bid in October/November but the engineers explained it would be better to target January/February bid timeline. The Mayor concurred with that bid date.

Jayne West of DEQ sent the City the “Water Pollution Control Facility Waste Discharge Permit” that will replace the old permit once the wastewater improvement project is completed. DEQ has asked for the City to review the permit before DEQ sends it out for the 30 day comment period.

COUNCILOR VACANCY – The Mayor stated the vacancy notice closed on September 25th and the City only received one letter of interest from Seth von Borstel. Wm. Perry Thurston asked why they weren’t going to count his letter he turned in at the August Council Meeting. The Mayor said the vacancy hadn’t become official until the next month and once the notice came out asking for letters of interest Mr. Thurston hadn’t submitted a letter by the deadline.

Councilor Perisho asked the Mayor if he could ask Seth von Borstel some questions…

Councilor Perisho asked Mr. von Borstel why and what his interest in City Council was. Mr. von Borstel went on to say after his 17 year career in the military, being involved in many boards and committees and was able to implement and see change, he knew some day he would be interested, but didn’t know when a vacancy might occur. Mr. von Borstel wants to see progress within the City. Mr. von Borstel is back in Sherman County full time, owns a home in Moro, newly married, enjoying life and feels he has a lot to offer.

Councilor Perisho went on to say the City has a special place for each of us and have seen a lot happen over the years and that this Council is not agenda driven but focuses on what is best for the community. Mr. von Borstel said it is time to invest in the place I am going to be and give back to the community.

There was a motion (Lane/Perisho) to appoint Seth von Borstel to City Council to fulfill the remainder of out-going Councilor Evan Christiansen’s term. Motion Carried. Rene’ Moore (CA) went on to note the term remaining is just less than two years and once that time comes up Mr. von Borstel can re-run for the position during an election. Mayor Anderson read the Oath of Office to Seth von Borstel and welcomed him to the City Council. Councilor von Borstel took a place at the table to continue on with the Council Meeting.

CITY HALL WELL CLAIM – Rene’ Moore (CA) shared with the Council a letter from the insurance company stating “there was no lightning detected at the time the City Hall Well malfunctioned”. The insurance company advised the City to have Schneider Equipment pull the pump and motor to confirm damage. Schneider Equipment is to provide a report to the insurance company of their findings and revised estimate if warranted. Ms. Moore (CA) reported Schneider Equipment has ordered parts and will be out this week or next to complete the work. The Mayor brought up the condition of the housing over the well and the City should look at re-doing it. The Mayor asked for Councilor von Borstel with his knowledge if he could take a look at it and see what maybe could be done to resurrect it.

WEED SPRAYING – QUOTE – Rene’ Moore (CA) shared she had contacted Mid-Columbia Producers (MCP) after last month’s Council Meeting to see who they were now using for weed control. The City realizes that the contract with Bob Oakden will be ending and the City needs to find a new licensed weed sprayer. Jeff Kaser (MCP) shared with Ms. Moore they are now using Shough Mountain Sprayers out of Dufur and provided a phone number. Ms. Moore was hoping for a quote by tonight’s meeting but not sure if the Director of Public Works (DPW) contacted them or not. Councilor Perisho stated he did check with his boss since he carries a public spray license if he could spray for the City and the response was “NO” the City would have to be added to the license and ODOT isn’t interested. The conversation turned to weeds really starting to take over and some of those are…puncture vine, kosha, morning glory and nap weed.

SUBDIVISION ORDINANCE & DLCD PLANNING ASSISTANCE GRANT – The Mayor had asked to start a review of the Subdivision Ordinance due to numerous blank spaces designating widths of streets and alleys. Rene’ Moore (CA) pointed out the original ordinance dated back in 1975 also was also full of blanks spaces. Ms. Moore (CA) shared with the Council the City will be receiving a $1,000 DLCD Planning Assistance Grant that would help pay for help from Dan Meader to get this ordinance completed. There was a motion (Perisho/von Borstel) to use the $1,000 Planning Assistance Grant and assistance from Dan Meader along with City staff to complete the Ordinance. Motion Carried. Ms. Moore pointed out the ordinance will then need to go through two readings and an adoption to make it official.

MORO CITY HALL – The Mayor stated that he and Councilor Lane wanted to see the topic of a new City Hall back on the agenda to determine the Council’s position. The Mayor went on to point out when the bids came in so high the Council agreed to postpone the topic for awhile.

The Mayor asked the thoughts of the Council regarding a new City Hall….

·  Councilor Perisho stated he doesn’t want to see this stalled any longer and that the City has been setting aside funds for years for this building.

·  Councilor Lane stated he agrees 100% to move forward with the building of a new City Hall, but would like to see a Town Hall Meeting inviting the public to explain the reasons behind the need of a new City Hall.

·  Councilor von Borstel stated trying to fix this cinderblock building is not a good use of the funds and is in favor of a new City Hall.

·  Councilor Payne stated he likes the idea of going out for bid again on a new City Hall.

Mayor Anderson stated he is feeling everyone on the Council is in favor of moving forward again with the building of a new City Hall and to hold a Town Hall Meeting for the community. A Town Hall Meeting will be held on Tuesday, October 29th at 7:00pm at the Steve Burnet Building.

Resident Carey Hughes shared she didn’t think the whole idea of a new City Hall was explained to the public very well and that the City has the money setting aside ready to go. Ms. Hughes feels the public will gather more around the idea of a new City Hall with all the information given at a Town Hall Meeting.

Resident Eileen Moreau stated she would like to see handouts ready with all the pertinent information to distribute at the Town Hall Meeting with space for people to write down their comments as well.

SEWER AVAILABILITY, EXPERIMENT STATION – Rene’ Moore (CA) explained to the Council she had a phone call from John Zalaznik- Public Health, sharing the Experiment Station is interested in building a new weed mixing building at the Steve Burnet Building site. They prefer to install their own sewer waste system with drain field rather that attaching to the City’s waste system, however to do so they need City Council approval. Council approval is required for a property outside City limits to be exempted from connecting to the City wastewater system if the property is within 300 feet of the City’s sewage lagoons. There was a motion (Perisho/von Borstel) to grant the Experiment Station an exemption from connecting to the City’s sewer and establishing their own wastewater system. Motion Carried. Ms. Moore went on to state they will have to connect to the City’s water system and be charged one EDU for water. They will also be required to install a backflow device on the line as well. OSU will be responsible for the added water EDU that will be charged.

OLD ASPHALT GRINDINGS – Rene’ Moore (CA) reported to the Council that Mark Coles – County Road Master, stopped in the office and asked if the County could still use the old asphalt grindings for the new road proposed at the Experiment Station. Ms. Moore stated she told Mr. Coles “YES” and take them all. Council agreed noting it would be so nice to get rid of them.


Resident Eileen Moreau questioned the appearance of a house in town and whether there is anything the City can do about it. Ms. Moreau also stated the parking on the lower half of 1st Street is getting almost impossible to get through with the diagonal parking and farm trucks.

Resident W. P. Thurston stated he isn’t against a new City Hall. Mr. Thurston’s main concern is where did the money come from? Mr. Thurston stated he is on the budget committee and never saw where all the money came from to build a new City Hall and when did the Council vote on to spend all this money. Mr. Thurston’s other concern is how much is it going to cost to maintain two buildings compared to just one. Mr. Thurston said if you want support from the community for this major appropriation, then it should go to the vote of the people.

Councilor Perisho went on to say the water/sewer funds are self-sustaining funds. It was pointed out that Mr. Thurston was the one saying they were cash cows. Councilor Perisho also said the City has not transferred funds from the water/sewer funds to other funds.

GOOD OF THE ORDER – Councilor Perisho stated he would like to see on next month’s agenda…parking on 1st Street and Councilor von Borstel wanted to add to that, parking on 4th Street.

Rene’ Moore (CA) shared she will be gone October 10th -14th but back in the office the 15th.

The Mayor shared it was noticed today there is a water leak at the intersection of 2nd Street and Main Street. Once John English (DPW) returns he will have to check out what the problem might be.

The Mayor called for the Council to enter into an Executive Session.

EXECUTIVE SESSION PER ORS 192.660 (h) – Litigation

The Mayor called for the Council to return to regular business. The Council took this time to get new Councilor von Borstel up to speed on what the City is doing and has been doing in the last few years.

Next regular Council Meeting is scheduled for November 5, 2013 @ 7:00 pm location Moro City Hall.

______Mayor, City of Moro Attest



City of Moro

Council Meeting Minutes

October 1, 2013